3 Tips to Be More Positive
Did you know that your thoughts and feelings affect your
weight loss? That probably isn’t a surprise to many of you.

Being more positive will help you in other ways too, which
will also help your weight loss. Here are 3 tips to be more positive in your
Find the Silver
Focusing on the negative problem isn’t going to do you any
good. It just makes you feel worse, and you’re more likely to give into those
negative callings.
It’s time to find the silver lining.
So your car has broken down. It might mean more money spent,
but it also means you get out walking more. So, the scales said you’d gained a
pound. What are other’s saying about your shape and how far have you come
already? What exercise did you do this week and how have your dress sizes
Focusing on something positive and avoid undoing all the
good you’ve done so far.
Some successful people actually have a book to write down
positive and negative thoughts. They use red pen to write out the bad feelings
and then under that combat with a positive outcome.
Get Out and Exercise
Exercise helps to boost your mood. I can personally vouch
for this. Whenever I feel stressed or annoyed, 30 minutes in the pool or an
hour in the gym has always helped me feel better about myself.
Try exercising more. The colder nights are drawing in right
now, but that doesn’t mean all exercise has to come to a halt. Pick up home
workouts or invest in a gym (just make sure you go). You’ll be surprised at how
much more positive you feel.
By doing more exercise, you’ll also want to avoid eating or
drinking the unhealthy stuff. You don’t want to undo all the good work you’ve
just done!
Exercise is recommended to those who suffer from depression
and anxiety. It’s also great for the overall health.
Be Grateful for the
Things You Have
(Someone pasted calculated crystals at this point)
┌──
BaAgRu2: optimized geometry, PBE.

Unit cell a=4.7169 b=4.7169 c=10.3387 alpha=76.81 beta=76.81 gamma=90.00
Sites, in units of the cell vectors:
1 Ru 0.3753 0.1250 0.2500
2 Ru 0.3747 0.6250 0.2500
3 Ru 0.3750 0.6247 0.7500
4 Ru 0.8750 0.6253 0.7500
5 Ba 0.0000 0.0000 0.0000
6 Ba 0.7500 0.2500 0.5000
7 Ag 0.5000 0.5000 0.0000
8 Ag 0.2500 0.7500 0.5000

- Magnetization: 2.147 Bohr magnetons per cell
- Uncorrected energy: -5.086 eV/atom
- Crystal system: tetragonal
- E above lowest polymorph: 0.446 eV per atom


No. 1
A geometry-optimized MgAlMo2 structure, computed with PBE-GGA.

```
data_MgAlMo2
_cell_length_a 2.774
_cell_length_b 4.499
_cell_length_c 5.262
_cell_angle_alpha 90.00
_cell_angle_beta 97.78
_cell_angle_gamma 90.00
_space_group_name_H-M_alt 'P 1 m 1'
_space_group_IT_number 6
loop_
_space_group_symop_operation_xyz
'x,y,z'
'x,-y,z'
loop_
_atom_site_label
_atom_site_type_symbol
_atom_site_fract_x
_atom_site_fract_y
_atom_site_fract_z
Mg1 Mg 0.000 0.000 0.000
Al1 Al 0.185 0.500 0.732
Mo1 Mo 0.503 0.000 0.490
Mo2 Mo 0.665 0.500 0.253
```

ρ: 6.21 g cm⁻³
density of states at the Fermi level: 1.71 states/eV per cell
total energy: -6.7135 eV per atom
formation energy from the elements: 0.036 eV per atom

---

No. 2
A geometry-optimized BeTcSb2Te structure, computed with PBE-GGA.

```
data_BeTcSb2Te
_cell_length_a 5.069
_cell_length_b 5.069
_cell_length_c 5.459
_cell_angle_alpha 90.00
_cell_angle_beta 90.00
_cell_angle_gamma 90.00
_space_group_name_H-M_alt 'P 4/m m m'
_space_group_IT_number 123
_space_group_name_Hall '-P 4 2'
loop_
_atom_site_label
_atom_site_type_symbol
_atom_site_fract_x
_atom_site_fract_y
_atom_site_fract_z
Be1 Be 0.000 0.000 0.000
Tc1 Tc 0.500 0.500 0.500
Sb1 Sb 0.000 0.500 0.500
Te1 Te 0.500 0.500 0.000
```

ρ: 5.66 g cm⁻³
density of states at the Fermi level: 5.09 states/eV per cell
total energy: -4.1455 eV per atom
energy relative to the elements, uncorrected: 0.950 eV/atom

---

No. 3
A geometry-optimized Y3Sb5 structure, computed with PBE-GGA.

```
data_Y3Sb5
_cell_length_a 9.1512
_cell_length_b 9.1512
_cell_length_c 6.1012
_cell_angle_alpha 90.00
_cell_angle_beta 90.00
_cell_angle_gamma 120.00
_space_group_name_H-M_alt 'P 63/m c m'
_space_group_IT_number 193
_space_group_name_Hall '-P 6c 2'
loop_
_atom_site_label
_atom_site_type_symbol
_atom_site_fract_x
_atom_site_fract_y
_atom_site_fract_z
Y1 Y 0.0000 0.3823 0.2500
Sb1 Sb 0.0000 0.2286 0.7500
Sb2 Sb 0.3333 0.6667 0.0000
```

ρ: 6.57 g cm⁻³
density of states at the Fermi level: 12.67 states/eV per cell
total energy: -5.6650 eV per atom
energy relative to the elements, uncorrected: -0.664 eV/atom

---

No. 4
A geometry-optimized Nb2SiTeO structure, computed with PBE-GGA.

```
data_Nb2SiTeO
_cell_length_a 5.004
_cell_length_b 5.004
_cell_length_c 3.525
_cell_angle_alpha 90.00
_cell_angle_beta 90.00
_cell_angle_gamma 90.00
_space_group_name_H-M_alt 'P 4/m m m'
_space_group_IT_number 123
_space_group_name_Hall '-P 4 2'
loop_
_atom_site_label
_atom_site_type_symbol
└──
There are plenty of people out there who don’t even have a
roof over their head. Instead of focusing on the stuff you don’t have or don’t
think you can achieve, be grateful for the things that you do have. They could
be things you take for granted or big things that have happened in your life.
Some of the most successful people start the day by being
grateful for 10 things in their life. Others like to focus on 10 things
throughout the day, and will put a coin in a jar each time they are grateful
for something.
You’ll soon realize that things aren’t as bad as they seem.
And then the more positive you are, the more determine you will be.
It’s about time you got yourself in the right mindset. Being
positive is the mindset you want when it comes to weight loss. You will find it
much easier to achieve.
Great article it's always nice to read articles about posting thinking we don't try hard enough to get rid if negative issues that's why they linger what ever is bothering you, is bothering you because your allowing to do so. Great post keep up the positivity